"The needs of everyone are being neglected for the wants of a few," said Walhalla City Councilman Grant Keehn, speaking out on Walhalla's city water issues.
"The needs of everyone are being neglected for the wants of a few," said Walhalla City Councilman Grant Keehn, speaking out on Walhalla's city water issues. Keehn also stated that the city's budget has been mismanaged for 12 years, leaving no money to correct the dirty water problems. It appears that former Mayor Danny Edwards steered Walhalla toward the iceberg and jumped ship before the collision.
It’s no surprise that India Lancaster and her husband, Jim Mann, would file a frivolous lawsuit against the county; they have a history of weaponizing the judicial system against their political enemies. In the fall of 2022, they filed a fraudulent and false police report against Perry Smith during Smith's long-shot write-in campaign against the powerful state legislator, Bill Sandifer.
Lancaster and Mann appeared at a Seneca restaurant that Perry and Vicky Smith are known to frequent every Friday night. Immediately upon the Smiths' entrance, Lancaster and Mann began antagonizing and harassing them.
Following the event, India Lancaster and her husband, Jim Mann, filed false police reports in which they falsely stated that Perry Smith was heavily intoxicated and armed, claiming that he was threatening and harassing them. All statements were proven to be lies by surveillance video, which clearly showed Ms. Lancaster intoxicated as she and her husband, Jim Mann, taunted and antagonized the Smiths. Had it not been for the surveillance video, Perry might have been arrested due to their false statements. It takes a troubled individual to lie in an attempt to strip someone of their freedoms for personal political gain. Can you imagine what Lancaster and Mann would do if they actually gained power?
The video has dead spots removed for time. You can view the entire video on the Journal’s page here https://www.facebook.com/story.php?id=100063634956957&story_fbid=1252531732191902
You can view India Lancaster’s false police statement here. https://www.oconeecountyconservatives.website/Admin%20Links%20Files/India%20Lancaster%20statement%20pg1.JPEG
You can view Jim Mann’s false police statement here. https://www.oconeecountyconservatives.website/Admin%20Links%20Files/India%20Lancaster%20statement%20pg1.JPEG
Gwen McPhail's push for public transportation to cut fossil fuel use? Oconee County will not entertain the radical left's Green New Deal. Keep Oconee conservative. On June 11, vote Conservative Republican Glenn Hart.
India Lancaster stated in this video that she would meet anyone, anywhere, including the OCC, because "that’s what you do if you have nothing to hide". It appears she has something to hide, as she rejected our request for a debate.
India Lancaster stated in this video that she would meet anyone, anywhere, including the OCC, because "that’s what you do if you have nothing to hide". It appears she has something to hide, as she rejected our request for a debate facilitated by the impartial moderator, Dick Mangrum. You can see our polite and cordial email request below.
Matt, India,
The venue and moderator are set up already for this debate.
Debate between Matt Durham (incumbent) and India Lancaster (challenger), Oconee County Council District 2 candidates
Location: Walhalla American Legion Hut
Time: Wednesday May 15th, 7pm -8:45pm
Moderator: Dick Mangrum (his only condition is both candidates must be present)
Question format:
First hour and 15 minutes: unrehearsed and unrevealed policy related questions given to the moderator via email, pre-screened for relevance and duplicity by the moderator, put in a box and randomly drawn. Alternating candidates on first response.
Last 30 minutes: Random policy related questions from the audience as time permits (one per audience person and questions may not be duplicate to what has already been covered) - continue to alternate candidates on first response.
Debate Format
* - 5 minute preparation for moderator
* - Assistant to the Moderator will control time limits using red/yellow card format (15 second warning (yellow); times up (red))
* - Opening candidate statement: 1 minute
* - Response to question (alternate candidates on questions): 2 minutes
* - Rebuttal: 2 minutes
* - Counter to rebuttal: 1 minute
* - Closing candidate statement: 1 minute
Open to the public.
An atmosphere of civility will be maintained. Anyone out of order will be removed. No clapping or audience responses except on candidate introduction.
OCC will pay for venue, security, and any other services.
Please let me know by email response no later than Friday, 4-19-24 if you are willing to attend so that I can finalize all arrangements.
India Lancaster stated in this video that she would meet anyone, anywhere, including the OCC, because "that’s what you do if you have nothing to hide". It appears she has something to hide, as she rejected our request for a debate facilitated by the impartial moderator, Dick Mangrum. You can see our polite and cordial email request below.
Matt, India,
The venue and moderator are set up already for this debate.
Debate between Matt Durham (incumbent) and India Lancaster (challenger), Oconee County Council District 2 candidates
Location: Walhalla American Legion Hut
Time: Wednesday May 15th, 7pm -8:45pm
Moderator: Dick Mangrum (his only condition is both candidates must be present)
Question format:
First hour and 15 minutes: unrehearsed and unrevealed policy related questions given to the moderator via email, pre-screened for relevance and duplicity by the moderator, put in a box and randomly drawn. Alternating candidates on first response.
Last 30 minutes: Random policy related questions from the audience as time permits (one per audience person and questions may not be duplicate to what has already been covered) - continue to alternate candidates on first response.
Debate Format
* - 5 minute preparation for moderator
* - Assistant to the Moderator will control time limits using red/yellow card format (15 second warning (yellow); times up (red))
* - Opening candidate statement: 1 minute
* - Response to question (alternate candidates on questions): 2 minutes
* - Rebuttal: 2 minutes
* - Counter to rebuttal: 1 minute
* - Closing candidate statement: 1 minute
Open to the public.
An atmosphere of civility will be maintained. Anyone out of order will be removed. No clapping or audience responses except on candidate introduction.
OCC will pay for venue, security, and any other services.
Please let me know by email response no later than Friday, 4-19-24 if you are willing to attend so that I can finalize all arrangements.
Jim Mann conspires with Democrat chairwoman Jody Gaulin
A shocking video reveals GOP Chairman Jim Mann, husband of District 2 council candidate India Lancaster-Mann, and Democrat Chairwoman Jody Gaulin plotting to dismantle our conservative council majority. Mann shockingly refers to our conservative Republican representatives as a “special interest group” and outlines a plan to use Democrat support to influence our primary.
# Inserted here: molecular data
~~~
No. 1
Entry from the OMol25 dataset: a structure of composition C22H25AsClCrN4O7 (wB97M-V/def2-TZVPD).

For the orbital gap (spin up / spin down), the calculation gives 6.81 / 6.73 eV. As for the total charge: -1. Its spin multiplicity is 5. As for the expectation value of S²: 6.0154.

Structure (XYZ):
```
61
Properties=species:S:1:pos:R:3:forces:R:3
Cr 0.259470 0.281517 -0.577028 0.0 0.4 -0.3
N 9.193706 -4.846505 -1.390385 0.0 0.0 0.0
C 8.203804 -4.271242 -1.282641 0.1 -0.1 0.0
C 6.967780 -3.551860 -1.153685 0.0 0.0 0.0
C 6.835806 -2.566149 -0.178269 0.0 0.0 0.0
C 5.644400 -1.871697 -0.067341 0.0 0.0 0.0
C 4.580336 -2.154176 -0.919063 0.0 0.0 0.0
C 4.718331 -3.148236 -1.884561 0.0 0.0 0.0
C 5.907135 -3.844606 -2.009794 0.0 0.0 0.1
C 3.297816 -1.406798 -0.793693 0.0 -0.1 0.0
C 3.319124 -0.070828 -1.151820 0.0 0.2 0.0
C 4.435994 0.681976 -1.632149 0.1 -0.1 0.0
C 4.005070 1.967761 -1.811899 -0.1 0.1 0.0
C 2.628106 1.979296 -1.454289 0.0 0.0 0.0
N 2.221574 0.783610 -1.071880 -0.2 -0.2 0.1
C 2.213364 -2.135562 -0.281050 0.0 0.1 0.0
C 2.261331 -3.440145 0.268755 0.0 -0.1 0.1
C 1.020754 -3.688763 0.820401 0.0 0.0 0.0
C 0.253367 -2.533929 0.580180 0.0 0.0 -0.1
N 0.945604 -1.614692 -0.087624 -0.1 0.3 0.1
H 7.661784 -2.349734 0.485378 0.0 0.0 0.0
H 5.526233 -1.103965 0.686257 0.0 0.0 0.0
H 3.885012 -3.369638 -2.538502 0.0 0.0 0.0
H 6.017635 -4.613526 -2.762043 0.0 0.0 0.0
H 5.426866 0.293496 -1.809862 0.0 0.0 0.0
H 4.573653 2.816532 -2.155765 0.0 0.0 0.0
H 1.933987 2.807745 -1.472704 0.0 0.0 0.0
H 3.124780 -4.087180 0.283782 0.0 0.0 0.0
H 0.694853 -4.570584 1.347958 0.0 0.0 0.0
H -0.759679 -2.333573 0.892520 0.0 0.0 0.0
C -2.973001 -3.171999 -0.956897 0.0 0.0 -0.1
C -3.277847 -1.901777 -0.173318 -0.1 0.1 0.0
As -2.325396 -0.320245 -0.845363 0.2 -0.1 0.2
C -3.341225 1.156965 -0.069087 0.0 0.0 0.0
C -4.835659 0.967321 0.147179 -0.1 0.0 0.0
C -2.796678 -0.355845 -2.744878 0.0 -0.1 0.0
C -4.277539 -0.339033 -3.098691 -0.1 0.0 0.0
H -3.478101 -4.034046 -0.515229 0.0 0.0 0.0
H -1.903960 -3.391774 -0.982850 0.0 0.0 0.0
H -3.315539 -3.091960 -1.990806 0.0 0.0 0.0
H -3.003017 -2.007407 0.878474 0.0 0.0 0.0
H -4.349639 -1.692709 -0.196161 0.0 0.0 0.0
H -3.125561 2.011990 -0.710774 -0.1 0.0 -0.1
H -2.839267 1.345347 0.877997 0.0 0.0 0.0
H -5.377270 0.746964 -0.775262 0.1 0.0 0.1
H -5.266300 1.877535 0.570316 0.0 0.0 0.0
H -5.039900 0.161074 0.854048 0.0 0.0 0.0
H -2.307892 -1.250860 -3.140036 0.0 0.0 0.0
H -2.283570 0.504467 -3.171393 0.0 0.0 0.0
H -4.845463 -1.099899 -2.556545 0.0 0.0 0.0
H -4.422732 -0.523588 -4.166066 0.0 0.0 0.0
H -4.720113 0.632133 -2.873729 0.0 0.0 0.0
O -0.050639 3.843154 -1.499688 -0.2 -0.1 0.1
N -0.836549 3.006534 -1.926586 0.2 0.1 -0.3
O -1.876359 3.296765 -2.518317 0.1 -0.1 0.3
O -0.546894 1.751921 -1.824304 0.0 -0.1 0.0
O -1.213473 0.044306 2.362630 -0.1 -0.1 0.0
Cl -0.223576 1.100323 2.365850 0.1 -0.1 -0.3
O 1.092064 0.518519 2.353216 0.1 0.0 0.1
O -0.408986 1.958336 3.488411 0.0 0.1 0.2
O -0.387921 1.878225 1.124419 0.1 -0.3 0.0
```
~~~
Why are prominent Democrats backing a supposed Republican? This is a clear strategy to dilute conservative votes and manipulate the outcome of our primary.
Data records that have nothing to do with the piece:
........
2 unconnected molecules or ions with the total composition C25H46N5O3S2 in a non-equilibrium geometry. Source: the OMol25 dataset; level of theory: the ωB97M-V functional and the def2-TZVPD basis.

```
81
Properties=species:S:1:pos:R:3:forces:R:3:lowdin_charge:R:1
C -3.867207 3.254118 -4.478187 -1.267 -0.458 0.350 -0.08
C -4.349068 2.554249 -3.051557 2.449 0.533 -0.346 -0.25
O -5.746693 2.095754 -3.053639 1.001 -3.191 1.185 -0.12
C -5.819552 0.602750 -2.934157 1.707 -3.265 -4.939 -0.25
O -5.364575 -0.143548 -3.943988 -2.441 4.744 6.291 -0.01
C -6.500278 -0.112283 -1.611082 -0.793 1.686 -0.267 -0.08
C -5.730686 0.465363 -0.285265 -1.012 0.404 0.420 -0.18
C -4.960274 -0.653345 0.626029 -1.291 0.089 -0.155 -0.15
C -3.679747 -1.386456 -0.078243 0.042 -1.308 0.387 -0.31
C -4.213514 -2.616057 -1.079723 -3.160 -6.104 -4.959 -0.08
N -4.671719 -3.582372 -1.834267 4.341 9.009 7.065 0.11
C -2.826584 -2.183275 1.119801 -0.869 -0.431 0.261 -0.15
C -2.202842 -1.179717 2.254626 1.058 -0.300 1.126 -0.23
C -0.533173 -1.092239 2.209336 -0.889 -1.375 -2.093 -0.48
S 0.171029 -0.070173 3.609343 0.533 0.279 -0.651 0.79
C 1.618107 0.987247 3.077133 2.273 0.149 -0.651 -0.95
S 3.154796 0.598553 3.780902 -3.139 0.776 -1.152 0.52
N 1.604144 2.146626 2.113075 -1.457 -1.558 1.202 -0.28
C 0.841323 3.345305 2.617890 -0.724 1.592 -0.083 -0.23
C -0.784869 3.167373 2.699107 -0.823 -0.061 0.963 -0.14
C 1.247676 1.753593 0.700657 1.242 0.200 -1.937 -0.24
C 2.421109 2.441552 -0.273063 0.427 -0.088 0.375 -0.11
C -2.742670 -0.427647 -1.017859 2.168 0.568 0.611 -0.23
C -2.329967 1.018551 -0.331093 -2.815 9.360 1.175 -0.05
N -2.383134 2.301310 -0.034268 0.876 -11.938 -2.681 0.13
N -1.414295 -1.182349 -1.205256 -1.276 -0.283 -5.057 0.02
C -1.002735 -1.132410 -2.514003 0.099 -0.474 1.673 -0.25
C -0.740305 -2.593698 -3.283916 0.822 0.523 1.345 -0.05
C -0.703518 0.249736 -3.358371 -0.354 -0.373 -0.829 -0.04
H -3.814585 4.419739 -4.310458 0.053 -2.449 -0.609 0.08
H -2.841910 2.786640 -4.833930 -2.150 1.158 0.732 0.08
H -4.728196 2.988424 -5.258467 2.083 0.694 1.552 0.10
H -3.627122 1.650555 -2.874632 -1.528 1.593 -0.246 0.07
H -4.109316 3.335573 -2.181557 -1.096 -1.826 -1.692 0.13
H -6.584057 -1.276758 -1.676670 0.643 2.335 -0.276 0.12
H -7.623278 0.291668 -1.576066 2.466 -0.791 -0.159 0.14
H -5.076423 1.372317 -0.631885 -0.982 -1.838 0.926 0.10
H -6.580757 0.932401 0.411757 2.012 -1.018 -1.429 0.13
H -5.769322 -1.493661 0.880076 1.878 1.705 -0.599 0.15
H -4.722775 -0.137726 1.668133 0.005 -1.185 -2.360 0.13
H -2.047051 -2.954024 0.678949 -1.511 1.963 0.794 0.13
H -3.646659 -2.851018 1.670119 1.684 1.487 -1.260 0.13
H -2.596708 -0.078325 2.221003 0.572 -2.185 -0.022 0.09
H -2.461038 -1.657624 3.314946 0.388 1.246 -2.258 0.13
H -0.098942 -2.198150 2.307468 -0.888 2.458 -0.102 0.10
H -0.266572 -0.725967 1.130968 -0.287 -0.470 2.170 0.05
H 1.252007 3.712618 3.670004 -0.700 -1.088 -2.294 0.14
H 1.059225 4.240027 1.861703 -0.260 -2.050 1.540 0.14
........
Action Needed: Stand firm against this betrayal. Ensure our values are upheld by voting on June 11th:
• Matthew Durham for District 2
• Tommy James for District 4
• Glenn Hart for District 5
Your vote matters. Keep Oconee conservative. Protect our principles.
Perry Smith Defending Our Freedoms
Perry Smith boldly stood up against a roomful of people wanting to implement onerous county development standards and alone delivered this speech for our freedoms in front of the county planning commission.
Many in that room were so-called Republicans, but all of them were advocating for more government control! When you have time watch the whole video at the link below. Jeff Sills, an active member of the local Republican Party, advocated for local gun control laws in our county. Folks were in a battle for our freedoms, that’s the June 11 county council elections are so important. Thank you Mr. Smith for boldly standing up, but Mr. Smith can’t do it alone.
RINOs vote against Conservative Budget Ordinance
D1 Councilman Elliott, D4 Councilman Davis, and OC Republican Party Chairman Mann (in the crowd blue shirt) are opposed to limiting annual county general fund budget increases to population increase plus inflation change. This translates to they don't want the county to be held accountable for inflating budgets, increased spending, more taxes, and as a result, larger government - Disproportionately larger government than the population. Do these people sound like Conservatives to you? No. Because they are not. They lack fiscal discipline.